A Gowanus public housing development suffered water outages for five days straight this week, and a lackadaisical response by the Housing Authority left residents scrambling to quench the thirst of the complex’s most vulnerable people.
During the outages, Wyckoff Gardens residents were forced to fill buckets with water from a pump hooked up to a fire hydrant outside, a process that was too difficult for some seniors and disabled people in the complex, according to one tenant.
“We have senior citizens and people who are bed-ridden and they can’t go and get water from a pump,” said Beverly Corbin, who lives in the development and was part of an effort to distribute water on Jan. 5. “NYCHA should be notifying the residents.”
A failure of the development’s central pumping system around 2 am on Jan. 4 cut off water to all three buildings until about 9 pm that night, according to the Housing Authority, though some residents on higher floors reported not having service restored until 10 pm or later. A series of mishaps involving replacement pumps caused subsequent outages over the next several days.
The pump system in 272 Wyckoff St. functions by pulling water up into a rooftop holding tank, then distributing it down to the other two buildings. When the aging pump failed on Jan. 4, plumbers and Housing Authority personnel connected the system to a temporary pump, but that pump lacked an automatic on-off function, meaning that to avoid overfilling the holding tank and flooding the building, the temporary pump had to be shut off periodically, leading to temporary outages on Jan. 5 and 6.
On Jan. 7, when plumbers set up what was meant to be the permanent replacement pump, the system didn’t work at all, leading to more than five hours without water in the complex and another several dry hours last Thursday when workers returned to fix the permanent pump once and for all. When this reporter visited Corbin and several of her neighbors at Wyckoff Gardens on Thursday the water was off, and though service was restored by mid-afternoon, low pressure caused some floors to run dry again Thursday evening until about 11 pm, according to residents.
Corbin, who uses a wheelchair to get around, said superstorm Sandy should have taught the Authority the importance of emergency planning.
“It’s a sad commentary on NYCHA, especially after Sandy, to not be able to help poor people,” she said. “I guess we were supposed to walk to the well singing spirituals.”
Residents gathered in Corbin’s apartment on Thursday were upset going without water, but reserved special ire for the Housing Authority, which they said failed to communicate with residents about what was being done, or how those in need could get water. Earlier in the week, they said the water had already been turned off by the time notices went up in hallways, and several reported calling the agency and being told that the office had no information about water outages. There was also no comprehensive plan for checking on vulnerable residents, which a local pol said is unacceptable.
-- begin --
(1)
# PaCdIr4, optimized geometry, DFT GGA-PBE
data_PaCdIr4
_cell_length_a 7.524
_cell_length_b 7.524
_cell_length_c 7.524
_cell_angle_alpha 90.00
_cell_angle_beta 90.00
_cell_angle_gamma 90.00
_space_group_name_H-M_alt 'F -4 3 m'
_space_group_IT_number 216
_space_group_name_Hall 'F -4 2 3'
loop_
_atom_site_label
_atom_site_type_symbol
_atom_site_fract_x
_atom_site_fract_y
_atom_site_fract_z
Pa1 Pa 0.000 0.000 0.000
Cd1 Cd 0.250 0.250 0.750
Ir1 Ir 0.124 0.124 0.376
# Energy of formation, meV/atom: -451



(2)
# Rb4UBr7, optimized geometry, DFT GGA-PBE
data_Rb4UBr7
_cell_length_a 25.882
_cell_length_b 5.743
_cell_length_c 7.806
_cell_angle_alpha 90.00
_cell_angle_beta 107.32
_cell_angle_gamma 90.00
_space_group_name_H-M_alt 'C 1 2/m 1'
_space_group_IT_number 12
_space_group_name_Hall '-C 2y'
loop_
_atom_site_label
_atom_site_type_symbol
_atom_site_fract_x
_atom_site_fract_y
_atom_site_fract_z
Rb1 Rb 0.088 0.000 0.152
Rb2 Rb 0.210 0.000 0.731
U1 U 0.000 0.500 0.500
Br1 Br 0.000 0.000 0.500
Br2 Br 0.056 0.500 0.878
Br3 Br 0.106 0.500 0.440
Br4 Br 0.218 0.000 0.193
# Raw formation energy, meV/atom: -1550.2



(3)
# Ac3Th3MoN8, optimized geometry, DFT GGA-PBE
data_Ac3Th3MoN8
_cell_length_a 7.1781
_cell_length_b 7.1781
_cell_length_c 18.4078
_cell_angle_alpha 90.00
_cell_angle_beta 90.00
_cell_angle_gamma 120.00
_space_group_name_H-M_alt 'R -3 m'
_space_group_IT_number 166
_space_group_name_Hall '-R 3 2"'
loop_
_atom_site_label
_atom_site_type_symbol
_atom_site_fract_x
_atom_site_fract_y
_atom_site_fract_z
Ac1 Ac 0.0000 0.5000 0.0000
Th1 Th 0.0000 0.5000 0.5000
Mo1 Mo 0.0000 0.0000 0.5000
N1 N 0.0000 0.0000 0.2389
N2 N 0.0411 0.5205 0.2305
# Raw formation energy, meV/atom: -1096.1
-- stop --
“NYCHA should have been out there making sure senior citizens and people with disabilities had water,” said Councilman Steve Levin (D–Gowanus), who showed up on Thursday to speak with residents. “It is a terrible feeling for people to not know what’s wrong or when it will be fixed.”
Not everyone in the development was entirely upset about the Housing Authority’s response, however. One tenant leader chided the agency for its failure to notify residents of impending outages, but praised the workers who toiled around the clock to restore service.
“I would be the first to tell you we got some issues, but they worked hard and they pulled all-nighters, and the Housing Authority really put in their all,” said Charlene Nimmons, president of the development’s resident association. “NYCHA didn’t go down there and break the pump.”